Here's and excerpt from this week's letter:
"...have you been going to church? I don't want to be a nag, but here's my train of thought: if we get married, there is no reason it wouldn't be in the temple. So it would be best if you were thinking about preparing for that. Even if it's another couple of years down the road, it would good to be thinking about it, so that it means something to you. I don't want you going to the temple just for me..."
I've never been directly confronted with this issue, I think it's just one of those things that everyone just assumes all members are on the same page about. However, temple marriage is one of the things I've never had a testimony about. While I wasn't on a mission I began to plan a life that involved marrying a non-member, mostly because at the time a majority of girls who still accepted me as an upright young man fit in that pool. To be honest, all that time, the idea of not getting married in the temple was not disturbing to me, in fact I didn't think twice about it. Maybe it's lack of faith, maybe it's ignorance, maybe it's the number of temple marriages(including that of my parents) I have observed fail for the same reasons temporal marriages fail. I have always assumed I'd just go along with whatever my wife wanted, it is HER day after all.
Now, Hannah has placed it in front of me. I guess temple marriage has never seemed of all that importance to me because it occurs to me that the #1 priority in marriage should be to have a happy, successful, and loving marriage, and everything else can follow that. I've felt that, just like being an RM doesn't guarantee a perfect boyfriend/girlfriend, a temple marriage doesn't guarantee a perfect, or even a good, marriage.
I consider myself a very analytical person, while I am very creative, I crave facts and figures to make educated decisions, I've never been able to "feel" an answer, answers just eventually make sense though logic and rational thought. It's hard for me to say I desire a temple marriage when I don't even know what a temple marriage truly is. I feel like all of my information is the same as they feed you in primary, you promise to live worthily and in return you get to be with your spouse for eternity. If it's so simple, why all the mystery around what goes on in the temple? I struggle with the idea I'll be inundated with a vast amount of information at the last minute, and that I'll be making a very important life decision without all of the information. It's the same issue I have with endowments, when Hannah got hers I had so many questions, unfortunately she was unable to answer any of them, and simply replied, "You'll find out when you go for your own." In my way of thinking, this seems to make no sense, how can I commit to something so important when I can't know what I'm committing to until I've already committed to it?
In retrospect, I even wonder about my baptism. Do I regret getting baptized at eight? No, but I sometimes wish I had waited until I fully understood what it was that I decided to do. Looking back I feel like I decided to get baptized because it was expected of me, and that's what all of the other kids my age were doing, so it must be right. Sometimes I feel like the same concept applies for 19 year-olds deciding to go on a mission, or other young people going to the temple together. Do I go because I KNOW it's right? Or because it's what I'm supposed to do, or expected to do.
Data records that have nothing to do with the text =
........
VASP calculation (PBE+U) on Li6Fe3Co5O16 after structural relaxation.

Unit cell a=5.170 b=2.846 c=18.594 alpha=90.00 beta=85.06 gamma=90.00
Site moments in Bohr magnetons follow the coordinates.
Element x y z (fractional)
O  0.377  0.000  0.692  -0.05
O  0.581  0.000  0.313  -0.09
O  0.723  0.500  0.439  -0.04
O  0.159  0.000  0.440  -0.04
O  0.092  0.000  0.812  -0.01
O  0.366  0.000  0.053  -0.03
O  0.895  0.000  0.192  -0.16
O  0.524  0.500  0.812  0.00
O  0.231  0.500  0.934  0.01
O  0.657  0.000  0.936  0.01
O  0.870  0.000  0.560  -0.04
O  0.972  0.500  0.685  0.01
O  0.276  0.500  0.567  0.01
O  0.473  0.500  0.186  -0.11
O  0.778  0.500  0.060  -0.04
O  0.024  0.500  0.313  -0.09
Fe  0.874  0.000  0.377  1.12
Fe  0.741  0.500  0.251  2.63
Fe  0.626  0.000  0.122  1.12
Co  0.508  0.500  0.996  0.48
Co  0.375  0.000  0.873  0.00
Co  0.124  0.000  0.626  -0.45
Co  0.009  0.500  0.502  -0.04
Co  0.240  0.500  0.750  -0.08
Li  0.235  0.000  0.239  0.00
Li  0.720  0.000  0.733  0.00
Li  0.024  0.000  0.009  0.00
Li  0.528  0.000  0.521  0.00
Li  0.377  0.500  0.386  0.00
Li  0.870  0.500  0.869  0.00

Results
**Theoretical density**: 4.63 g cm⁻³
**Total magnetic moment**: 4.03 μB/f.u.
**SG**: No. 6
**E**: -5.735 eV/atom
........
Crappy quality I know, nevertheless, I wonder after watching this clip, am I Luke or am I Han? Do I want to have, but lack the courage to "let go"? Or do I depend too much on myself alone for my own good?